(File)
+++
(1)
Ge7F16 | GGA-PBE | relaxed

* formation energy: -2.467 eV/atom
* symmetry: Cc, No. 9

Unit cell a=9.9975 b=9.9975 c=10.4356 alpha=89.40 beta=89.40 gamma=45.66
Atoms (fractional coordinates):
Ge  0.9281  0.7677  0.0275
Ge  0.7677  0.9281  0.5275
Ge  0.7358  0.3929  0.5901
Ge  0.3929  0.7358  0.0901
Ge  0.2656  0.5649  0.4074
Ge  0.5649  0.2656  0.9074
Ge  0.3329  0.2312  0.1921
Ge  0.2312  0.3329  0.6921
Ge  0.2330  0.0356  0.4573
Ge  0.0356  0.2330  0.9573
Ge  0.7632  0.6409  0.3038
Ge  0.6409  0.7632  0.8038
Ge  0.1773  0.8244  0.7518
Ge  0.8244  0.1773  0.2518
F  0.9728  0.8718  0.7999
F  0.8718  0.9728  0.2999
F  0.0543  0.0658  0.8133
F  0.0658  0.0543  0.3133
F  0.3009  0.5902  0.6990
F  0.5902  0.3009  0.1990
F  0.2739  0.7298  0.9184
F  0.7298  0.2739  0.4184
F  0.0786  0.9252  0.5942
F  0.9252  0.0786  0.0942
F  0.3790  0.7875  0.7137
F  0.7875  0.3790  0.2137
F  0.7654  0.7826  0.6522
F  0.7826  0.7654  0.1522
F  0.2021  0.4842  0.2628
F  0.4842  0.2021  0.7628
F  0.0206  0.6777  0.4812
F  0.6777  0.0206  0.9812
F  0.3765  0.3462  0.4924
F  0.3462  0.3765  0.9924
F  0.2177  0.2054  0.3460
F  0.2054  0.2177  0.8460
F  0.6418  0.5962  0.4898
F  0.5962  0.6418  0.9898
F  0.6616  0.8761  0.4046
F  0.8761  0.6616  0.9046
F  0.5133  0.7915  0.2484
F  0.7915  0.5133  0.7484
F  0.1098  0.3465  0.1058
F  0.3465  0.1098  0.6058
F  0.9925  0.2692  0.5338
F  0.2692  0.9925  0.0338


(2)
Sm4GaSbS9 | GGA-PBE | relaxed

* formation energy: -1.840 eV/atom
* spin magnetization: 0.000 μB per formula unit
* symmetry: Aea2, No. 41

Unit cell a=10.0491 b=10.0491 c=13.7245 alpha=90.00 beta=90.00 gamma=90.86
Atoms (fractional coordinates):
Sm  0.1265  0.0915  0.8145
Sm  0.9085  0.8735  0.1855
Sm  0.6265  0.5915  0.6855
Sm  0.4085  0.3735  0.3145
Sm  0.3341  0.3223  0.6011
Sm  0.6777  0.6659  0.3989
Sm  0.8341  0.8223  0.8989
Sm  0.1777  0.1659  0.1011
Sm  0.6244  0.0443  0.6810
Sm  0.9557  0.3756  0.3190
Sm  0.1244  0.5443  0.8190
Sm  0.4557  0.8756  0.1810
Sm  0.4497  0.3266  0.8962
Sm  0.6734  0.5503  0.1038
Sm  0.9497  0.8266  0.6038
Sm  0.1734  0.0503  0.3962
Ga  0.3841  0.8254  0.9077
Ga  0.1746  0.6159  0.0923
Ga  0.8841  0.3254  0.5923
Ga  0.6746  0.1159  0.4077
Sb  0.3263  0.8318  0.6130
Sb  0.1682  0.6737  0.3870
Sb  0.8263  0.3318  0.8870
Sb  0.6682  0.1737  0.1130
S  0.1640  0.0143  0.5998
S  0.9857  0.8360  0.4002
S  0.6640  0.5143  0.9002
S  0.4857  0.3360  0.0998
S  0.6662  0.1472  0.9192
S  0.8528  0.3338  0.0808
S  0.1662  0.6472  0.5808
S  0.3528  0.8338  0.4192
S  0.2056  0.8191  0.8010
S  0.1809  0.7944  0.1990
S  0.7056  0.3191  0.6990
S  0.6809  0.2944  0.3010
S  0.5719  0.8222  0.8095
S  0.1778  0.4281  0.1905
S  0.0719  0.3222  0.6905
S  0.6778  0.9281  0.3095
S  0.8693  0.1307  0.5000
S  0.3693  0.6307  0.0000
S  0.4898  0.1197  0.5062
S  0.8803  0.5102  0.4938
S  0.9898  0.6197  0.9938
S  0.3803  0.0102  0.0062
S  0.6796  0.8150  0.5682
S  0.1850  0.3204  0.4318
S  0.1796  0.3150  0.9318
S  0.6850  0.8204  0.0682
S  0.8805  0.0045  0.7503
S  0.9955  0.1195  0.2497
S  0.3805  0.5045  0.7497
S  0.4955  0.6195  0.2503
S  0.5002  0.4998  0.5000
S  0.0002  0.9998  0.0000
S  0.3889  0.1424  0.7533
S  0.8576  0.6111  0.2467
S  0.8889  0.6424  0.7467
S  0.3576  0.1111  0.2533

* * * * *

[1]
# PBE Be2Te7Cl6, relaxed
data_Be2Te7Cl6
_chemical_formula_sum 'Be4 Te14 Cl12'
_cell_length_a 5.531
_cell_length_b 10.332
_cell_length_c 16.821
_cell_angle_alpha 90.00
_cell_angle_beta 90.00
_cell_angle_gamma 90.00
_space_group_name_H-M_alt 'P n n m'
_space_group_IT_number 58
_space_group_name_Hall '-P 2 2n'
loop_
_atom_site_label
_atom_site_fract_x
_atom_site_fract_y
_atom_site_fract_z
Be1 0.000 0.000 0.081
Te1 0.000 0.500 0.000
Te2 0.000 0.500 0.239
Te3 0.172 0.104 0.371
Cl1 0.153 0.139 0.147
Cl2 0.233 0.915 0.000
# Total energy after the MP2020 corrections, eV/cell: -108.78

***

[2]
# PBE Be2Co, relaxed
data_Be2Co
_chemical_formula_sum 'Be8 Co4'
_cell_length_a 2.677
_cell_length_b 3.839
_cell_length_c 10.665
+++

(To do)
Please duplicate the calculation results earlier on character by character.

(Outcome)
(1)
Ge7F16 | GGA-PBE | relaxed

* formation energy: -2.467 eV/atom
* symmetry: Cc, No. 9

Unit cell a=9.9975 b=9.9975 c=10.4356 alpha=89.40 beta=89.40 gamma=45.66
Atoms (fractional coordinates):
Ge  0.9281  0.7677  0.0275
Ge  0.7677  0.9281  0.5275
Ge  0.7358  0.3929  0.5901
Ge  0.3929  0.7358  0.0901
Ge  0.2656  0.5649  0.4074
Ge  0.5649  0.2656  0.9074
Ge  0.3329  0.2312  0.1921
Ge  0.2312  0.3329  0.6921
Ge  0.2330  0.0356  0.4573
Ge  0.0356  0.2330  0.9573
Ge  0.7632  0.6409  0.3038
Ge  0.6409  0.7632  0.8038
Ge  0.1773  0.8244  0.7518
Ge  0.8244  0.1773  0.2518
F  0.9728  0.8718  0.7999
F  0.8718  0.9728  0.2999
F  0.0543  0.0658  0.8133
F  0.0658  0.0543  0.3133
F  0.3009  0.5902  0.6990
F  0.5902  0.3009  0.1990
F  0.2739  0.7298  0.9184
F  0.7298  0.2739  0.4184
F  0.0786  0.9252  0.5942
F  0.9252  0.0786  0.0942
F  0.3790  0.7875  0.7137
F  0.7875  0.3790  0.2137
F  0.7654  0.7826  0.6522
F  0.7826  0.7654  0.1522
F  0.2021  0.4842  0.2628
F  0.4842  0.2021  0.7628
F  0.0206  0.6777  0.4812
F  0.6777  0.0206  0.9812
F  0.3765  0.3462  0.4924
F  0.3462  0.3765  0.9924
F  0.2177  0.2054  0.3460
F  0.2054  0.2177  0.8460
F  0.6418  0.5962  0.4898
F  0.5962  0.6418  0.9898
F  0.6616  0.8761  0.4046
F  0.8761  0.6616  0.9046
F  0.5133  0.7915  0.2484
F  0.7915  0.5133  0.7484
F  0.1098  0.3465  0.1058
F  0.3465  0.1098  0.6058
F  0.9925  0.2692  0.5338
F  0.2692  0.9925  0.0338


(2)
Sm4GaSbS9 | GGA-PBE | relaxed

* formation energy: -1.840 eV/atom
* spin magnetization: 0.000 μB per formula unit
* symmetry: Aea2, No. 41

Unit cell a=10.0491 b=10.0491 c=13.7245 alpha=90.00 beta=90.00 gamma=90.86
Atoms (fractional coordinates):
Sm  0.1265  0.0915  0.8145
Sm  0.9085  0.8735  0.1855
Sm  0.6265  0.5915  0.6855
Sm  0.4085  0.3735  0.3145
Sm  0.3341  0.3223  0.6011
Sm  0.6777  0.6659  0.3989
Sm  0.8341  0.8223  0.8989
Sm  0.1777  0.1659  0.1011
Sm  0.6244  0.0443  0.6810
Sm  0.9557  0.3756  0.3190
Sm  0.1244  0.5443  0.8190
Sm  0.4557  0.8756  0.1810
Sm  0.4497  0.3266  0.8962
Sm  0.6734  0.5503  0.1038
Sm  0.9497  0.8266  0.6038
Sm  0.1734  0.0503  0.3962
Ga  0.3841  0.8254  0.9077
Ga  0.1746  0.6159  0.0923
Ga  0.8841  0.3254  0.5923
Ga  0.6746  0.1159  0.4077
Sb  0.3263  0.8318  0.6130
Sb  0.1682  0.6737  0.3870
Sb  0.8263  0.3318  0.8870
Sb  0.6682  0.1737  0.1130
S  0.1640  0.0143  0.5998
S  0.9857  0.8360  0.4002
S  0.6640  0.5143  0.9002
S  0.4857  0.3360  0.0998
S  0.6662  0.1472  0.9192
S  0.8528  0.3338  0.0808
S  0.1662  0.6472  0.5808
S  0.3528  0.8338  0.4192
S  0.2056  0.8191  0.8010
S  0.1809  0.7944  0.1990
S  0.7056  0.3191  0.6990
S  0.6809  0.2944  0.3010
S  0.5719  0.8222  0.8095
S  0.1778  0.4281  0.1905
S  0.0719  0.3222  0.6905
S  0.6778  0.9281  0.3095
S  0.8693  0.1307  0.5000
S  0.3693  0.6307  0.0000
S  0.4898  0.1197  0.5062
S  0.8803  0.5102  0.4938
S  0.9898  0.6197  0.9938
S  0.3803  0.0102  0.0062
S  0.6796  0.8150  0.5682
S  0.1850  0.3204  0.4318
S  0.1796  0.3150  0.9318
S  0.6850  0.8204  0.0682
S  0.8805  0.0045  0.7503
S  0.9955  0.1195  0.2497
S  0.3805  0.5045  0.7497
S  0.4955  0.6195  0.2503
S  0.5002  0.4998  0.5000
S  0.0002  0.9998  0.0000
S  0.3889  0.1424  0.7533
S  0.8576  0.6111  0.2467
S  0.8889  0.6424  0.7467
S  0.3576  0.1111  0.2533

* * * * *

[1]
# PBE Be2Te7Cl6, relaxed
data_Be2Te7Cl6
_chemical_formula_sum 'Be4 Te14 Cl12'
_cell_length_a 5.531
_cell_length_b 10.332
_cell_length_c 16.821
_cell_angle_alpha 90.00
_cell_angle_beta 90.00
_cell_angle_gamma 90.00
_space_group_name_H-M_alt 'P n n m'
_space_group_IT_number 58
_space_group_name_Hall '-P 2 2n'
loop_
_atom_site_label
_atom_site_fract_x
_atom_site_fract_y
_atom_site_fract_z
Be1 0.000 0.000 0.081
Te1 0.000 0.500 0.000
Te2 0.000 0.500 0.239
Te3 0.172 0.104 0.371
Cl1 0.153 0.139 0.147
Cl2 0.233 0.915 0.000
# Total energy after the MP2020 corrections, eV/cell: -108.78

***

[2]
# PBE Be2Co, relaxed
data_Be2Co
_chemical_formula_sum 'Be8 Co4'
_cell_length_a 2.677
_cell_length_b 3.839
_cell_length_c 10.665